Web ushers new age for Gaelic classes

17th September 2004, 1:00am
The profile of Gaelic education is being raised at this year’s SETT show, with the launch of a Gaelic website and seminars for the community.

For the first time, Gaelic teachers and learners will be able to attend presentations developed specifically to meet their needs, and they can get a taste of the g...idhlig air-loidhne (Gaelic online) service, which promises to be central to the future of Gaelic education. It uses information technology to make the delivery forward-looking and inclusive.

Funded by the National Grid for Learning Scotland and developed by Learning and Teaching Scotland in partnership with Strlann N...iseanta na G...idhlig, the website provides a range of resources, discussion forums, support for Gaelic language skills and opportunities for continuing professional development.

What comes next are records of crystals, not part of the page >
(1)
Theoretical XRD peak list
Compound: Na2PdPb2
Radiation: CuKα
Structure: a crystal structure in Alexandria, relaxed with GGA-PBE
Intensities are scaled so that the largest is 100.

Crystal structure
Cell lengths 12.258, 12.258, 12.258 Å; angles 157.63, 157.63, 31.85 degrees
Element x y z (fractional)
Na (0.050, 0.300, 0.750)
Na (0.300, 0.050, 0.250)
Na (0.700, 0.950, 0.750)
Na (0.950, 0.700, 0.250)
Pd (0.375, 0.625, 0.750)
Pd (0.625, 0.375, 0.250)
Pb (0.190, 0.440, 0.750)
Pb (0.440, 0.190, 0.250)
Pb (0.560, 0.810, 0.750)
Pb (0.810, 0.560, 0.250)

The 10 most intense peaks (2θ from 5° to 70°), by angle:
d (Å), 2theta, intensity
4.662, 19.0, 63.9
4.069, 21.8, 36.7
3.349, 26.6, 90.4
3.234, 27.6, 34.2
2.555, 35.1, 100.0
2.378, 37.8, 60.3
1.954, 46.5, 22.7
1.939, 46.9, 40.3
1.930, 47.1, 25.6
1.405, 66.6, 31.2

(2)
Theoretical XRD peak list
Compound: K3Cd2Sb4Pb2
Radiation: CuKα
Structure: a crystal structure in Alexandria, relaxed with GGA-PBE
Intensities are scaled so that the largest is 100.

Crystal structure
Cell lengths 5.012, 5.012, 19.021 Å; angles 90.00, 90.00, 120.00 degrees
Element x y z (fractional)
K (0.000, 0.000, 0.000)
K (0.000, 0.000, 0.265)
K (0.000, 0.000, 0.735)
Cd (0.333, 0.667, 0.134)
Cd (0.667, 0.333, 0.866)
Sb (0.333, 0.667, 0.388)
Sb (0.333, 0.667, 0.866)
Sb (0.667, 0.333, 0.134)
Sb (0.667, 0.333, 0.612)
Pb (0.333, 0.667, 0.558)
Pb (0.667, 0.333, 0.442)

The 10 most intense peaks (2θ from 5° to 70°), by angle:
d (Å), 2theta, intensity
9.510, 9.3, 29.1
6.340, 14.0, 30.4
4.755, 18.7, 30.3
4.340, 20.5, 49.6
3.582, 24.9, 34.2
3.206, 27.8, 69.3
2.861, 31.3, 31.3
2.560, 35.1, 32.6
2.506, 35.8, 100.0
1.842, 49.5, 34.0

(3)
Theoretical XRD peak list
Compound: Cs2BeTeS
Radiation: CuKα
Structure: a crystal structure in Alexandria, relaxed with GGA-PBE
Intensities are scaled so that the largest is 100.

Crystal structure
Cell lengths 8.181, 4.278, 11.781 Å; angles 90.00, 110.30, 90.00 degrees
Element x y z (fractional)
Cs (0.191, 0.250, 0.397)
Cs (0.223, 0.250, 0.958)
Cs (0.777, 0.750, 0.042)
Cs (0.809, 0.750, 0.603)
Be (0.473, 0.750, 0.249)
Be (0.527, 0.250, 0.751)
Te (0.353, 0.750, 0.706)
Te (0.647, 0.250, 0.294)
S (0.222, 0.750, 0.183)
S (0.778, 0.250, 0.817)

The 10 most intense peaks (2θ from 5° to 70°), by angle:
d (Å), 2theta, intensity
3.889, 22.9, 20.1
3.836, 23.2, 62.1
3.737, 23.8, 17.5
3.377, 26.4, 100.0
3.288, 27.1, 19.8
2.945, 30.4, 32.9
2.878, 31.1, 22.4
2.856, 31.3, 46.1
2.062, 43.9, 24.2
1.868, 48.7, 16.4


# Li5Fe8B8O24
Computed powder XRD pattern, Cu Kα, 1.54184 Å. Input: the PBE+U geometry in the Materials Project.

Principal peaks in the range 2θ = 10–80°, most intense first:
| index | d_spacing | I/Imax |
| --- | --- | --- |
| 1 -1 0 | 4.526 | 1000 |
| 0 0 4 | 2.563 | 924 |
| 0 2 -1 | 4.131 | 896 |
| 1 -3 0 | 2.613 | 670 |
| 1 1 2 | 3.429 | 614 |
| 1 1 -1 | 4.114 | 409 |
| 0 2 -2 | 3.367 | 399 |
| -2 2 1 | 2.207 | 265 |
| 0 4 1 | 2.225 | 258 |
| 1 3 0 | 2.621 | 252 |

Cell and atoms:

An early version was introduced in March 2004 to delegates at a Gaelic teachers’ conference, after which the g...idhlig air-loidhne team produced an online questionnaire for Gaelic practitioners to send feedback and information.

The key to success for such an educational website is to make participants aware of its interactive features. For example, Gaelic teachers will be able to share good practice and resources they develop, not only within their school or local authority but with teachers across Scotland.

The website will create a single access point to all current interactive Gaelic resources and downloadable material. Through its forums, teachers will have opportunities for discussion, peer support and collaboration.

Teachers can now key in to the Gaelic-language information on the 5-14 curriculum, direct links to Gaelic primary schools and departments in secondaries. Their classes can take part in an on-going competition to write about their schools: the best entries, with text and photographs, will run on the site for a few weeks and a prize will go to the overall winner. The site’s content editor is Ruairidh Mackay, a Gaelic teacher from Central Primary in Inverness.

The benefits for Gaelic education are far-reaching, especially because of the opportunities the site brings for communicating new approaches, accessing materials and sharing good practice.

This session, there will be face-to-face training about the website, followed by online support, at venues across Scotland.

The seminar at the SETT show will focus on the website services as well as steps being taken to enhance access for the Gaelic community to all areas of education.

Presentations of the new Gaelic online classroom resources will be made by the gaidhlig air-loidhne team at the Scottish Education Village in the SETT exhibition area. These include a range of fun, interactive classroom resources with quizzes and games that combine audio, text, illustrations and photographs.

Environmental studies activities cover energy, lifestyles, mapping and weather. Mathematics is presented through a fairground theme, covering number bonds, problem solving, shape recognition and data-handling for early years Gaelic medium pupils. And a Gaelic language game featuring Glug, an alien from Mars, helps to reinforce grammar. It is aimed at S1S2 Gaelic learners.

The recently developed software for Gaelic word-processing, a Gaelic language version of the free Open Office suite, will also be demonstrated.

Continuing professional development will be covered, with Matthew MacIver, chief executive of the General Teaching Council for Scotland, giving a presentation. He will tell how CPD opportunities are being designed and made available online to help teachers improve Gaelic language skills. They will also link to the provision of resources for the primary and secondary curriculums.

Stuart Robertson, of the Scottish Executive, will outline e-learning in Gaelic education.

Janet MacLeod is a project team leader with Learning and Teaching Scotland, seconded from her headteacher post at Bun-sgoil Shl ite, the Gaelic primary school in Sleat, Isle of Skye, Highlandwww.ltscotland.org.ukgaidhligSETTGaelic Alive and Online by Janet MacLeod, Thursday, 12.45pm